The Lovechild of Spanish and Portuguese: Portunhol
Meanwhile, somewhere on the border between Uruguay, Argentina or Paraguay and Brazil:

Photo via Pixabay
Baby Portuñol: Mommy, daddy, where did I come from?
(Spanish and Portuguese look at each other hesitatingly)
Spanish: Ay, how to explain this to the kids?
Portuguese: We both knew this moment was going to come, o meu bem. Let’s just spill the feijão.
Spanish: Mi niña, once upon a time, I saw your mother, Portuguese, walk into a bar and I couldn’t believe my eyes. I think by the way she pronounced her vowels, the exotic, yet familiar vocabulary that she used as she ordered herself a drink, and, not to mention, that flowing intonation, I was electrified.
Portuguese: Certo! I remember that night! You couldn’t keep your olhos off of me!
Spanish: Es verdad. And, well, Portuñol, when two languages get together, they create a new language all together. You were born out of love.
Computed, not measured: one molecule with the formula C2H4Cl2FN in a non-equilibrium geometry, with ωB97M-V with the def2-TZVPD basis set.

Each line ends with the Mulliken charge.
Geometry (Å):
C: 0.170102 -0.289856 -0.614497  -0.705
C: 0.080240 -0.466953 0.891317  0.579
H: 0.478745 1.599577 0.014859  0.344
H: -0.930596 1.290009 -1.380518  0.256
H: 1.056646 -0.700129 -1.044955  0.298
H: -0.604235 -0.872998 -1.218510  0.352
N: 0.034131 1.070148 -0.958246  -0.570
F: 0.762416 0.616258 1.420477  -0.251
Cl: -1.674780 -0.201552 1.387857  -0.172
Cl: 0.627330 -2.044504 1.502215  -0.131

Cartesian forces (eV/Å) of the 2 atoms listed first:
C -1.76 -1.63 -1.85
C -1.39 0.26 0.00

Properties
- SMILES = NCC(F)(Cl)Cl
- strongest force on any atom (eV/A) = 5.17
- E (eV) = -31390.073
- net charge = 0


A molecular structure, C15H21F5GeN3NiO2Te. Source: OMol25; level of theory: ωB97M-V with the def2-TZVPD basis set.

Properties
E_LUMO (spin up / spin down) (eV): 2.46 / 2.46
Expectation value of S²: 2.005
Calculated total energy (eV): -142906.26013
Relative energy (zero: lowest compared OMol25 entry of this formula, charge and spin) (kJ/mol): 0.0
HOMO (spin up / spin down) (eV): -5.1 / -5.4

```
! wB97M-V def2-TZVPD RIJCOSX def2/J DEFGRID3
* xyz -1 3
Ni 0.954 0.894 -0.528
O 0.195 0.017 1.053
C 0.654 -0.936 1.798
C -0.230 -1.583 2.701
C 0.173 -2.622 3.504
C 1.492 -3.085 3.463
C 2.377 -2.467 2.607
C 1.999 -1.400 1.783
C 2.987 -0.765 0.920
N 2.757 0.135 -0.018
C 3.961 0.459 -0.595
C 4.946 -0.257 -0.001
N 4.319 -1.031 0.955
H -1.251 -1.222 2.719
H -0.542 -3.091 4.169
H 1.811 -3.912 4.082
H 3.395 -2.842 2.567
H 4.010 1.182 -1.391
H 6.008 -0.290 -0.159
H 4.770 -1.657 1.595
C -2.257 -0.846 -0.880
Ge -3.125 0.796 -0.277
C -4.255 0.419 1.291
C -4.237 1.490 -1.733
C -1.784 2.165 0.159
H -3.002 -1.566 -1.225
H -1.663 -1.290 -0.082
H -1.587 -0.607 -1.709
H -5.015 -0.325 1.047
H -4.760 1.324 1.634
H -3.649 0.034 2.112
H -5.012 0.777 -2.018
H -3.608 1.687 -2.603
H -4.710 2.430 -1.445
H -1.352 2.013 1.149
H -2.231 3.161 0.125
F 1.171 -0.792 -4.349
Te 0.087 3.618 -1.837
F -0.074 4.468 -0.165
F -1.691 4.362 -2.110
F 0.977 5.317 -2.255
F 1.768 2.843 -0.893
O -0.758 2.053 -0.837
C 0.993 -1.981 -2.338
C 1.050 -0.602 -2.935
N 1.003 0.518 -2.460
H 0.869 -1.921 -1.258
H 1.908 -2.531 -2.568
H 0.158 -2.540 -2.764
*
```

Mulliken atomic charge list, values in e, 6 entries: 0.115, -0.680, -0.005, -0.308, -0.544, -0.790
(The data records stop here)
Portuguese: That’s right, querido. You’re not the only one though. Want to find out?
Portuñol: Por favor!
–Commercial break–
Thanks for tuning into that brief clip hoping to better, metaphorically introduce you, the reader, to an incredibly interesting phenomenon: the creation of an unsystematic, dialect that flirts with being considered a pigeon language. In any case, Portuñol or Portunhol, is a spoken and written dialect (for lack of a better word) used along the Spanish-speaking countries bordering with Brazil.
There are believed to be 260,000 speakers who use the language to communicate. Principally, it is a “dialect” based upon code-switching, in which a speaker alternates with ease between one or more languages during mid-conversation. In short it is a linguistic mixture of Gaúcho Portuguese and Rioplatense Spanish.

Photo via Wikipedia
Where It All Began
As both Spanish speakers and Portuguese weren’t able to communicate comprehensively in their mother tongue, it helped to categorise Portuñol as a sort of lingua franca to keep things fresh. Overall, Portuñol is a hybrid language which is also peppered with local indigenous languages. Spanish and Portuguese are both Romance languages with very similar grammatical structures with extremely close lexicons. This in turn helped to make it an easier language to form as the language began to develop by gathering momentum. However, it has also made it harder to pinpoint where they both merge.
Originally along the frontiers between the adjourning countries, the importance of Portuguese was immeasurable for any Spanish speaker due to the scope for commerce. Moreover it was vital for more clandestine affairs, such as cattle smuggling, among other endeavours, around the triple border of Argentina, Brazil and Uruguay, which were extremely commonplace during the 1800s. It’s stated that many lusismos (luso- is the root word for “Portuguese-speaking”), or Portuguese terms, began to embed themselves into common parlance at this stage, with the diaspora of migrants from rural towns into the city in Uruguay after they had come into contact with Portuguese speakers.
The Atlas Lingüístico de Uruguay (The Linguistic Atlas of Uruguay) recounts that there is a 25km stretch of land along northern Uruguay whereby the majority of the population is either bilingual or speaks a variation of Portuñol. Likewise, owing to the border with Brazil, many television stations have shaped and influenced the way in which the language has been preserved by Spanish speakers in its dialectal form, as many continue to consume this form of media. In terms of education, there have always been more opportunities and scope to further one’s self academically across the border in Brazil, hence the necessity to adopt the language, or at least to communicate, in Portuñol.
As with any form of lingua franca, or indeed hybrid language, there are always the detractors. Many scholars and those of the establishment have lambasted the language as a debasing, vulgar and lower class dialect, preferring that both Spanish and Portuguese be taught well and distinctively. Nevertheless, the Uruguayan linguist, Graciela Barrios, famed for her musings on rural Uruguayan Spanish states that, “behind the policies of managing the language, there are discriminatory attitudes. When the government accuses young people of ‘deforming’ the language, it is a sly way of saying – We don’t like young people.” Overall, Barrios is able to perceive how enriching it can be to enhance and further a language which strengthens its own cultural identity in turn.

Photo via Wikipedia
The Debate Goes On
A group of historians, artists and linguists on both sides of the border have stated that it is firmly part of the cultural heritage of both countries. Julio Piastre, a coordinator in Rivera, Uruguay, where one of the Educational and Cultural Ministries is located, states, that before, “for a long time whoever used to speak Portuñol would feel ashamed…As if he/she were suffering an illness, a certain dyslexia. We wish to defend our pride at speaking it.” Of course at this stage in order for it to be deemed part of a world heritage by UNESCO, the Uruguayan government firstly has to deem it to be part of its own cultural heritage, which currently appears to be a stumbling block, as it has not been categorised so.
In conclusion, answering little Portuñol’s question: where did she come from? She came from a wild night out two languages coming together. Now, wait until we tell the story about how Portuñol’s little classmate, Spanglish, grew up into who he is today.
In the meantime, some common words to play with as you mix and match between Spanish and Portuguese:
Atenti: atención; atenção. attention
Molecular data from another source follow
┌──
# 1
117
Properties=species:S:1:pos:R:3:lowdin_spin:R:1 method="wB97M-V/def2-TZVPD" e_tot_ha=-4092.99703 s2=8.84 homo_lumo_gap_ev="4.27 / 6.37" total_charge=+1 spin_multiplicity=6 e_homo_ev="-6.6 / -9.0"
Ru 0.862 -0.618 -2.906 1.447
O 3.675 -0.975 -9.828 0.113
N 2.570 -0.880 -9.261 0.087
O 1.453 -1.105 -9.867 0.094
C 2.555 -0.580 -7.878 0.092
C 3.774 -0.240 -7.316 0.191
C 3.817 0.036 -5.888 0.042
C 5.033 0.425 -5.254 0.097
C 4.994 0.759 -3.897 -0.001
C 3.781 0.557 -3.205 0.116
N 2.670 0.048 -3.798 -0.020
C 2.664 -0.251 -5.123 0.053
C 1.420 -0.550 -5.744 0.004
N 0.342 -0.690 -4.892 0.052
C -0.863 -1.032 -5.445 0.095
C -1.048 -1.019 -6.816 0.014
C 0.000 -0.808 -7.669 0.082
C 1.313 -0.662 -7.168 0.003
H 4.636 -0.076 -8.038 0.011
H 5.940 0.552 -5.867 0.003
H 5.867 1.168 -3.358 -0.003
H 3.680 0.762 -2.117 0.007
H -1.736 -1.228 -4.843 0.007
H -2.082 -0.957 -7.180 -0.001
H -0.152 -0.873 -8.702 0.007
N 0.044 -0.534 -1.360 0.173
S -1.259 -1.031 -0.584 0.150
N -1.495 -0.454 0.842 0.105
S -1.552 0.103 2.296 0.280
N -0.313 0.796 2.985 0.204
S 0.800 2.001 3.209 0.278
N 2.017 2.276 2.169 0.053
C 1.497 1.695 4.816 0.025
C 0.810 0.982 5.820 0.014
C 1.209 1.156 7.139 0.001
C 2.377 1.842 7.428 0.012
C 3.192 2.290 6.361 0.001
C 2.724 2.294 5.069 0.015
C -0.091 3.529 3.407 0.009
C -0.808 3.856 4.554 0.020
C -1.632 5.033 4.568 -0.005
C -1.940 5.679 3.308 0.026
C -1.196 5.353 2.183 -0.001
C -0.238 4.318 2.265 0.025
C -1.922 -1.337 3.285 0.059
C -3.100 -2.018 2.927 0.075
C -3.365 -3.250 3.630 -0.003
C -2.594 -3.667 4.697 0.063
C -1.544 -2.915 5.158 0.001
C -1.142 -1.877 4.342 0.051
C -3.040 1.137 2.325 0.019
C -3.777 1.165 3.532 0.016
C -4.883 1.965 3.634 0.002
C -5.265 2.722 2.576 0.009
C -4.608 2.693 1.374 0.003
C -3.424 1.897 1.216 0.012
C -1.198 -2.746 -0.697 0.018
C -1.219 -3.322 -2.009 0.013
C -1.190 -4.692 -2.202 0.000
C -1.400 -5.580 -1.145 0.011
C -1.345 -5.032 0.152 -0.002
C -1.118 -3.668 0.375 0.010
C -2.616 -0.491 -1.571 0.036
C -2.550 0.688 -2.318 0.018
C -3.491 1.116 -3.280 0.001
C -4.706 0.401 -3.232 0.010
C -4.905 -0.733 -2.447 0.002
C -3.862 -1.173 -1.545 0.016
H 0.008 0.338 5.549 0.001
H 0.588 0.823 8.009 0.000
H 2.686 1.996 8.458 0.001
H 4.194 2.755 6.476 0.000
H 3.347 2.749 4.269 0.002
H -0.786 3.249 5.488 0.001
H -2.039 5.435 5.478 -0.001
H -2.742 6.420 3.273 0.002
H -1.221 5.900 1.243 -0.001
H 0.355 3.999 1.382 0.002
H -3.708 -1.696 2.074 0.004
H -4.266 -3.722 3.309 -0.002
H -2.828 -4.593 5.158 0.005
H -1.054 -3.130 6.069 -0.001
H -0.187 -1.399 4.627 0.003
H -3.577 0.491 4.340 0.003
H -5.388 2.024 4.603 0.000
H -6.202 3.257 2.645 0.001
H -4.933 3.288 0.534 0.000
H -2.816 1.819 0.297 0.000
H -1.200 -2.687 -2.875 0.001
H -1.139 -4.971 -3.253 0.000
H -1.283 -6.663 -1.322 0.001
H -1.396 -5.711 0.971 0.000
H -0.889 -3.357 1.374 0.001
H -1.659 1.383 -2.218 0.008
H -3.360 1.971 -3.952 0.000
H -5.570 0.769 -3.784 0.001
H -5.857 -1.266 -2.465 0.000
H -3.969 -2.079 -1.002 0.001
C 4.477 2.998 0.606 0.015
O 3.747 1.769 0.761 0.080
C 3.021 1.479 1.890 0.303
└──
Camiáu: camión; caminhão.truck
Dispôs: después; depois. After
Ingatado: enamorado, enganchado; apaixonado.enamoured
Liña: frontera, línea divisoria; linha divisoria, fronteira. frontier
Pasaye: pasaje; passagem. Passage or ticket
Ratiño: ratito, momentito; um pouco de tempo. A brief period of time
Séstia: siesta; sesta. Nap
Shinéla: chancleta; chinelo. Sandal
Yeladera: heladera, nevera; refrigerador. Fridge